Leadership Careers Dec 23, 2020
“Know What People Say About You in the Company.”
Former DuPont CEO Ellen Kullman shares her advice on establishing credibility—in a crisis, and throughout your career.

Lisa Röper
What comes next are data records, not part of the article:
'''
1.
Here is a relaxed structure of Ba2HoMgRuO6 from Materials Project. Energies are from PBE-GGA.

a = 6.501 Å, b = 5.961 Å, c = 5.977 Å
α = 60.09°, β = 63.72°, γ = 62.71°
Element x y z (fractional)
Ho (0.407, 0.530, 0.533)
Mg (0.906, 0.359, 0.376)
O (0.209, 0.772, 0.247)
O (0.753, 0.249, 0.255)
O (0.739, 0.256, 0.750)
O (0.753, 0.743, 0.255)
O (0.201, 0.777, 0.766)
O (0.201, 0.256, 0.766)
Ru (0.990, 0.004, 0.002)
Ba (0.787, 0.735, 0.743)
Ba (0.420, 0.194, 0.193)

- total magnetic moment (μB/cell) = 1.0
- E_form (kJ per mole of atoms) = -238
- calculated volume (A^3/atom) = 15.58
- crystal system = monoclinic


2.
Here is a relaxed structure of Ba2HoMgRuO6 from Materials Project. Energies are from PBE-GGA.

a = 6.515 Å, b = 5.971 Å, c = 5.979 Å
α = 60.04°, β = 63.27°, γ = 62.73°
Element x y z (fractional)
O (0.751, 0.744, 0.254)
O (0.203, 0.775, 0.769)
O (0.743, 0.254, 0.748)
O (0.208, 0.772, 0.248)
O (0.203, 0.254, 0.769)
O (0.751, 0.251, 0.254)
Mg (0.906, 0.361, 0.372)
Ba (0.781, 0.738, 0.743)
Ba (0.422, 0.193, 0.193)
Ho (0.405, 0.531, 0.533)
Ru (0.991, 0.003, 0.003)

- total magnetic moment (μB/cell) = 1.0
- E_form (kJ per mole of atoms) = -238
- calculated volume (A^3/atom) = 15.60
- crystal system = monoclinic


3.
Here is a relaxed structure of Ba2HoMgRuO6 from Materials Project. Energies are from PBE-GGA.

a = 6.278 Å, b = 6.097 Å, c = 6.278 Å
α = 60.95°, β = 56.13°, γ = 60.95°
Element x y z (fractional)
O (0.230, 0.257, 0.770)
O (0.763, 0.237, 0.763)
O (0.770, 0.743, 0.230)
O (0.230, 0.743, 0.770)
O (0.770, 0.257, 0.230)
O (0.237, 0.763, 0.237)
Mg (0.000, 0.500, 0.000)
Ba (0.310, 0.190, 0.310)
Ba (0.690, 0.810, 0.690)
Ru (0.000, 0.000, 0.000)
Ho (0.500, 0.500, 0.500)

- total magnetic moment (μB/cell) = 1.0
- E_form (kJ per mole of atoms) = -244
- calculated volume (A^3/atom) = 15.14
- crystal system = orthorhombic


4.
Here is a relaxed structure of BaHo2O4 from Materials Project. Energies are from PBE-GGA.

a = 3.192 Å, b = 7.771 Å, c = 6.712 Å
α = 53.82°, β = 90.00°, γ = 90.00°
Element x y z (fractional)
Ho (0.750, 0.465, 0.469)
'''
Ellen Kullman, CEO of the 3D printing startup Carbon, is no stranger to leading a company through crisis. Before becoming the CEO of the California-based company, she spent 27 years with chemical giant DuPont—seven of them as its CEO. She was the first woman to lead the more than 200-year-old company.
Kullman, a Kellogg School alumna, spoke with Kellogg professor Jörg Spenkuch as part of a leadership and crisis management speaker series. Kullman discussed what she’s learned about steering through crises, making tough calls, and soliciting the feedback that will ultimately make you a better leader.
Editor’s note: You can listen to a longer version of this conversation as a recent episode of The Insightful Leader podcast. This conversation has been edited for length and clarity.
Jörg Spenkuch: What is the hardest thing for a leader to do during a crisis? What doesn’t come naturally?
Ellen Kullman: I spent 27 years in total at DuPont. So by the time I was the CEO, I was 20 years in. I knew the people very, very well. Sometimes you sit in your own environment too long; it’s like the frog in the frying pan. And you don’t see it, you don’t feel it. You’re not listening enough to the outside. And so it really is [about] having that eye to the reality of the situation, not what you’d like it to be, and really making sure you’re getting the straight, unvarnished truth about what the situation is. You really just have to make sure you have the right people holding the mirror up and telling you the truth.
Spenkuch: Sometimes leaders, particularly in crisis, face a trade-off between doing what they and others perceive as right and what is good for the bottom line. How can you navigate these trade-offs?
Kullman: I grew up in the “four stakeholder” theory of leadership, meaning that if you make products your customers love, and your employees are actively engaged, and the communities where you operate want you there because you’re a good citizen, then your shareholders will benefit.
-- begin --
The following is a DFT calculation (PBE) of a relaxed structure of Na2TaGaSiP2O12.

Geometry as extended XYZ:
```
114
Lattice="7.592 -4.410 0.000 7.592 4.410 0.000 -0.190 0.000 22.404" Properties=species:S:1:pos:R:3 pbc="T T T"
Na 7.498 4.402 11.202
Na 7.290 1.548 1.957
Na 7.709 1.670 9.383
Na 4.927 0.006 14.935
Na 5.022 -0.006 3.733
Na 10.250 2.750 5.688
Na 7.195 -1.548 13.159
Na 9.961 0.066 18.667
Na 10.056 -0.066 7.465
Na 7.614 -1.670 20.585
Na 10.155 -2.750 16.889
Na 7.592 -4.402 0.000
Ta 7.423 4.374 14.565
Ta 4.992 0.013 7.101
Ta 4.898 -0.013 18.303
Ta 10.021 0.046 10.828
Ta 9.926 -0.046 22.030
Ta 7.518 -4.374 3.363
Ga -0.140 0.007 19.171
Ga -0.045 -0.007 7.969
Ga 4.886 0.048 11.718
Ga 4.981 -0.048 0.516
Ga 9.886 0.029 15.447
Ga 9.981 -0.029 4.245
Si 2.655 1.201 20.663
Si 7.543 1.836 5.710
Si 2.750 -1.201 9.461
Si 7.734 1.259 13.169
Si 7.829 -1.259 1.967
Si 7.448 -1.836 16.912
P 4.960 2.559 9.454
P 9.591 3.071 16.931
P 7.032 1.352 20.674
P 10.135 2.549 1.999
P 4.865 -2.559 20.656
P 7.127 -1.352 9.472
P 12.135 1.298 13.218
P 12.908 1.228 5.734
P 12.230 -1.298 2.016
P 10.041 -2.549 13.201
P 9.686 -3.071 5.729
P 12.813 -1.228 16.936
O 1.137 0.656 20.506
O 6.185 3.452 9.258
O 6.138 3.382 15.669
O 1.468 0.611 4.474
O 3.582 1.018 19.295
O 4.735 1.637 8.189
O 4.881 1.622 1.833
O 3.646 0.939 13.029
O 1.232 -0.656 9.304
O 5.070 1.607 17.052
O 5.247 1.679 10.666
O 7.199 2.844 20.442
O 3.483 0.587 5.842
O 3.355 0.592 21.952
O 7.292 2.788 4.368
O 1.373 -0.611 15.676
O 7.630 2.896 13.313
O 8.799 3.405 2.116
O 7.788 2.753 7.020
O 8.741 3.335 18.156
O 3.389 -0.587 17.044
O 3.450 -0.592 10.750
O 6.229 1.072 21.928
O 6.187 0.906 5.849
O 3.741 -0.939 1.827
O 6.292 0.553 12.956
O 3.677 -1.018 8.093
O 6.409 0.594 19.427
O 9.843 1.637 0.755
O 8.706 1.011 11.829
O 9.816 1.588 16.735
O 8.887 0.942 5.553
O 6.387 -0.553 1.754
O 10.314 1.725 3.269
O 8.439 0.632 20.777
O 6.504 -0.594 8.225
O 8.402 0.531 14.428
O 4.640 -1.637 19.391
O 10.187 1.525 9.582
O 4.786 -1.622 13.035
O 6.092 -0.906 17.051
O 5.165 -1.607 5.851
O 5.152 -1.679 21.868
O 6.324 -1.072 10.726
O 8.497 -0.531 3.226
O 11.166 1.004 20.784
O 11.288 1.009 14.441
O 8.534 -0.632 9.575
O 11.510 0.670 5.527
O 8.801 -1.011 0.627
O 8.792 -0.942 16.755
O 11.528 0.612 11.937
O 6.233 -3.382 4.467
O 7.197 -2.788 15.570
O 6.090 -3.452 20.460
O 7.294 -2.844 9.240
O 13.563 0.636 6.971
O 7.693 -2.753 18.222
O 13.571 0.631 13.314
O 9.748 -1.637 11.957
O 11.623 -0.612 0.735
O 9.911 -1.588 5.533
O 11.415 -0.670 16.729
O 7.725 -2.896 2.111
O 10.092 -1.525 20.784
O 11.261 -1.004 9.583
-- stop --
If you were only looking at shareholder returns, you wouldn’t make investments in anything that didn’t pay back in a couple of years. When you’re on the front side of science, paybacks can be longer than that. And I think you even see with the high-tech companies out there in Silicon Valley: these guys have huge valuations and they haven’t made any money yet. So you need to take a look at more than just the bottom line. You can cut research and development, and you’re not going to have a company in five years, or ten years, right? So you have to take a longer-term view.
But it doesn’t mean that there’s a bottomless bucket, where you can just keep spending money on things that aren’t going to make the employees more engaged, create environments where people want you, or make your customers happy.
“Self-awareness is one of the traits that has helped me the most through my career: understanding the impact I have on people—good, bad, or indifferent.”
— Ellen Kullman
I always try to use principles to make my decisions as opposed to one-offs, because otherwise, how can you explain that you spent the money in that case but didn’t spend it in another case? If you can establish some principles around those engagements, whether people agree with you or not, at least they have an opportunity to understand.
The only thing you have is your reputation. People forget the specifics. People couldn’t tell you whether I had TSR to beat the market or not. But what they could tell you is: Do they believe I’m an ethical leader? Do they believe I stand on principle? And do I face issues head on?
You need to make those decisions based on, can you live with yourself? I’ve had men leave DuPont, go to another company, and within a year call and say, “Can I come back?” And these were actually people I wanted. So, [I said] sure. But I interviewed them before they came back. I wanted to understand what was going on. And frankly, in a couple of these cases, they were asked to do things that they believed were unethical. And that was something they just couldn’t live with.
I’ve never been asked to do anything unethical in the years that I’ve been working. I’ve been challenged a few times with saying, should we? And you can get into a discussion around it, and work your way through it, and hopefully get to a better place.
Spenkuch: You didn’t start out as the CEO of DuPont; you rose through the ranks. As you did so, what were some things that raised your credibility and standing?
Kullman: Have a high “say-do ratio.” So if you say you’re going to do something, do it. And if you do it, do it well. I had a reputation for saying what I was going to do and getting it done. The other thing is, can people trust you? And it’s not, are you trustworthy or not? It’s, do they believe you are? Every company that you work for writes a book on you. And that book starts the day you walk through the door, and it doesn’t end when you leave. Know your book, right? Know what people say about you in the company.
And you’ll find there’ll be mentors, or sponsors, or people who will give you that kind of feedback. And you need to seek that out. Because the people that struggle the most are the ones that either didn’t know their book, or didn’t believe their book. And I think that comes down to self-awareness. Self-awareness is one of the traits that has helped me the most through my career: understanding the impact I have on people—good, bad, or indifferent.
I was known to have very sharp elbows early in my career. I played competitive basketball in college, so I had to bring them in a little bit in order to really excel in the DuPont culture. And all the things that make you great as an individual contributor or a middle-level manager work against you as you get to higher levels. You need to manage more through influence. You need to understand people and where they’re coming from and look for common ground. And it’s not about winning or losing, it’s about coming together to get the company or the business into a better place.
Spenkuch: You mentioned mentors. Could you speak a little bit to their importance and perhaps give some advice on how to pick a mentor, or recognize who’s likely going to be a good mentor?
Kullman: The best mentors to have are the ones that pick you, right? And that doesn’t happen that often. Look for people who know the culture, who know how work gets done. Because that’s kind of the inside baseball you need in order to take your skills and deploy them as best you can.
Spenkuch: To what extent do the same rules apply to women and people of color? Would you give them the same advice for rising through corporate hierarchies?
Kullman: In my experience—and I think the research has borne this out—women and people of color tend to not put themselves forward for opportunities if they don’t have 90 to 120 percent of the skills necessary. And I believe the best opportunities are the ones where you have 60, 70 percent of the skills necessary. And then you’re going to grow the other 30 percent because you’re going to be a learner.
Your company’s leadership doesn’t know, unless you tell them, what career path you want to go on. I was really clear that I wanted to run businesses. I didn’t want to get into a staff position. I stuck to my guns, and I earned my way there. I was a little patient at times, maybe a little impatient at times. And if I didn’t get a job, I would say, “Okay, so help me understand what I need to do to be a better candidate for that kind of job in the future.”